(Exercise)
Now reproduce the listing underneath from the first line to the one with "3.094099 0.407" word for word.

(Data)
(1)
78
Properties=species:S:1:pos:R:3:forces:R:3 method="wB97M-V/def2-TZVPD" multiplicity=1 smiles="NC(N)=O.NC(N)=O.NC(N)=O.NC(N)=O.NC(N)=O.NC(N)=O.OCCO.OCCO.OCCO" de_lowest_kcal_mol=98.54 max_force_ev_per_a=4.739 e_homo_ha=-0.3101 charge=0
N -4.725632 -2.066907 3.094099 0.407 0.481 0.866
C -4.941165 -2.193695 1.771193 -2.390 -1.540 -1.166
N -4.054453 -1.472215 1.042267 0.049 -0.116 0.201
O -5.856128 -2.877099 1.309909 1.171 0.449 0.157
H -5.012498 -2.790582 3.728596 -0.084 0.243 0.031
H -4.049451 -1.362135 3.326367 -0.006 -0.409 0.946
H -3.542456 -0.847058 1.637799 0.579 0.548 -1.172
H -4.168944 -1.409173 0.045507 0.040 0.425 0.142
N 1.900883 4.686278 3.351037 -1.118 -0.553 0.764
C 2.207690 4.600361 2.041572 2.693 1.446 -1.653
N 1.138656 4.840928 1.259218 1.070 -1.433 1.478
O 3.361518 4.509055 1.631975 -0.229 -0.528 0.235
H 0.928084 4.913798 3.443026 0.216 0.104 1.343
H 2.577847 4.669667 4.089698 -0.100 -0.018 -0.129
H 1.279648 5.217741 0.339918 -0.004 -0.073 0.094
H 0.262548 5.056369 1.802651 2.164 -0.329 -1.535
N 3.388874 -3.029366 -3.505902 0.222 -1.649 -1.742
C 2.494188 -2.072699 -3.203091 0.269 2.070 0.150
N 2.844474 -1.446300 -2.059473 0.351 -0.424 0.948
O 1.556289 -1.683750 -3.881427 -0.497 -1.156 -0.325
H 3.369967 -3.408636 -4.439083 -0.105 0.025 0.097
H 4.162536 -3.326504 -2.940206 -0.220 0.196 0.240
H 2.334863 -0.647152 -1.698414 0.395 0.168 -0.209
H 3.828184 -1.579559 -1.905453 -0.110 0.608 0.763
N 6.285754 0.644990 0.824503 0.436 0.373 0.650
C 5.289720 1.513800 0.419037 1.577 -0.271 -0.697
N 4.422219 0.808609 -0.346302 -1.260 1.062 -0.069
O 5.265534 2.718537 0.536847 0.080 -0.615 0.445
H 6.123149 -0.328663 0.652996 0.357 -0.047 0.381
H 7.010138 0.928143 1.460597 -0.158 0.011 -0.019
H 4.545238 -0.164575 -0.532467 -0.322 0.155 -0.211
H 3.747034 1.424441 -0.772412 -0.212 -0.826 -0.497
N -0.153205 -3.167088 -1.608886 -0.280 0.025 0.819
C -0.893699 -4.136419 -2.191503 0.600 0.453 -0.061
N -0.350940 -4.488297 -3.385533 -0.818 -0.949 -0.204
O -1.898702 -4.604535 -1.674895 -0.020 -0.273 -0.179
H 0.640777 -2.784040 -2.084059 -0.049 0.239 0.316
H -0.438251 -2.966596 -0.660010 0.394 0.582 -0.123
H 0.392162 -3.933642 -3.772476 -0.114 -0.183 -0.364
H -0.819631 -5.242411 -3.857795 0.277 0.239 -0.406
N -2.556072 4.186654 0.350250 1.341 -0.697 -0.325
C -1.990527 4.884460 1.328907 -0.329 2.964 -0.187
N -2.888257 5.212299 2.288866 -0.167 -0.192 0.959
O -0.904745 5.493670 1.304373 -4.666 0.131 -0.818
H -1.916121 3.823450 -0.340545 -0.784 -0.389 -0.463
H -3.552466 4.089308 0.401521 0.126 -0.466 -0.627
H -3.498790 4.468324 2.585928 -0.107 0.389 0.523
H -2.508878 5.900852 2.919378 -0.404 -0.308 0.447
O -2.025751 2.193302 -1.948734 -0.437 -0.685 -0.907
C -2.463872 0.816866 -1.975860 0.318 0.217 2.658
C -1.613163 -0.103960 -2.806514 -0.854 0.053 -1.366
O -2.077875 -0.011174 -4.162832 -0.191 0.024 -0.369
H -2.085399 2.480137 -2.868076 0.123 0.282 0.001
H -2.427046 0.553800 -0.914955 0.597 -0.250 0.007
H -3.542096 0.706642 -2.123318 0.012 0.224 -1.025
H -1.773325 -1.164550 -2.605133 0.603 0.145 1.101
H -0.563917 0.179156 -2.884088 0.024 -0.147 0.590
H -2.788351 -0.657601 -4.147070 -0.198 0.175 -0.760
O -0.527248 0.189772 0.560289 1.008 0.358 0.001
C 0.844853 0.532015 0.882489 -0.547 0.983 0.063
C 1.336996 1.715361 0.044638 -1.056 -1.462 0.060
O 1.710138 1.162627 -1.245030 -0.160 0.516 0.301
H -0.703441 -0.686325 0.926379 -0.134 -0.011 -0.430
H 0.891919 0.853574 1.925759 0.159 -0.394 0.185
H 1.532245 -0.278073 0.633331 -0.070 -0.275 0.464
H 2.163978 2.170572 0.585998 0.248 0.184 -0.591
H 0.511286 2.412937 -0.097308 0.230 0.260 0.097
H 0.871961 0.805403 -1.562285 -0.034 0.152 -0.336
O 0.760432 -4.357449 2.101197 0.478 0.395 0.364
C -0.593815 -4.139172 2.386713 -1.223 -0.194 -0.043
C -1.099710 -2.703025 2.196952 0.676 0.093 -0.341
O -1.347656 -2.464963 0.807116 0.119 -0.048 0.396
H 0.942026 -4.257108 1.161865 -0.269 0.010 -0.092
H -1.197129 -4.780516 1.736221 -0.204 0.037 -0.048
H -0.810333 -4.487675 3.397310 0.397 0.121 0.144

(Result)
(1)
78
Properties=species:S:1:pos:R:3:forces:R:3 method="wB97M-V/def2-TZVPD" multiplicity=1 smiles="NC(N)=O.NC(N)=O.NC(N)=O.NC(N)=O.NC(N)=O.NC(N)=O.OCCO.OCCO.OCCO" de_lowest_kcal_mol=98.54 max_force_ev_per_a=4.739 e_homo_ha=-0.3101 charge=0
N -4.725632 -2.066907 3.094099 0.407 0.481 0.866